== Assignment ==
What is needed: start at the top of the material below and reproduce each line, ending with the one that has "_symmetry_Int_Tables_number 26".
== Material ==
/*
(1)
Below is crystalline Sr2AgPt at its relaxed geometry, with properties calculated at the PBE-GGA level.

Crystal system   monoclinic
E above lowest polymorph   0.00 kcal/mol of atoms

CIF file:
```
data_Sr2AgPt
_symmetry_space_group_name_H-M 'P 1 21/m 1'
_symmetry_Int_Tables_number 11
_cell_length_a 6.203
_cell_length_b 4.630
_cell_length_c 8.577
_cell_angle_alpha 90.00
_cell_angle_beta 110.75
_cell_angle_gamma 90.00
loop_
_symmetry_equiv_pos_as_xyz
'x,y,z'
'-x,-y,-z'
'-x,y+1/2,-z'
'x,-y+1/2,z'
loop_
_atom_site_label
_atom_site_type_symbol
_atom_site_fract_x
_atom_site_fract_y
_atom_site_fract_z
Sr1 Sr 0.213 0.250 0.438
Sr2 Sr 0.232 0.250 0.922
Ag1 Ag 0.346 0.750 0.215
Pt1 Pt 0.358 0.750 0.713
```

***

(2)
Below is crystalline Tl2Ni3PdS6 at its relaxed geometry, with properties calculated at the PBE-GGA level.

Crystal system   trigonal

CIF file:
```
data_Tl2Ni3PdS6
_symmetry_space_group_name_H-M 'P -3 m 1'
_symmetry_Int_Tables_number 164
_symmetry_space_group_name_Hall '-P 3 2"'
_cell_length_a 6.9084
_cell_length_b 6.9084
_cell_length_c 5.9873
_cell_angle_alpha 90.00
_cell_angle_beta 90.00
_cell_angle_gamma 120.00
loop_
_atom_site_label
_atom_site_type_symbol
_atom_site_fract_x
_atom_site_fract_y
_atom_site_fract_z
Tl1 Tl 0.3333 0.6667 0.1255
Ni1 Ni 0.0000 0.5000 0.5000
Pd1 Pd 0.0000 0.0000 0.5000
S1 S 0.1786 0.3571 0.6827
```

***

(3)
Below is crystalline Sm5Ga2Bi at its relaxed geometry, with properties calculated at the PBE-GGA level.

Crystal system   tetragonal

CIF file:
```
data_Sm5Ga2Bi
_symmetry_space_group_name_H-M 'I 4/m c m'
_symmetry_Int_Tables_number 140
_symmetry_space_group_name_Hall '-I 4 2c'
_cell_length_a 8.380
_cell_length_b 8.380
_cell_length_c 13.092
_cell_angle_alpha 90.00
_cell_angle_beta 90.00
_cell_angle_gamma 90.00
loop_
_atom_site_label
_atom_site_type_symbol
_atom_site_fract_x
_atom_site_fract_y
_atom_site_fract_z
Sm1 Sm 0.000 0.000 0.000
Sm2 Sm 0.154 0.346 0.142
Ga1 Ga 0.147 0.353 0.500
Bi1 Bi 0.000 0.000 0.250
```

***

(4)
Below is crystalline CsFeTeAuS2 at its relaxed geometry, with properties calculated at the PBE-GGA level.

Crystal system   orthorhombic

CIF file:
```
data_CsFeTeAuS2
_symmetry_space_group_name_H-M 'C m c m'
_symmetry_Int_Tables_number 63
_symmetry_space_group_name_Hall '-C 2c 2'
_cell_length_a 3.566
_cell_length_b 17.572
_cell_length_c 10.246
_cell_angle_alpha 90.00
_cell_angle_beta 90.00
_cell_angle_gamma 90.00
loop_
_atom_site_label
_atom_site_type_symbol
_atom_site_fract_x
_atom_site_fract_y
_atom_site_fract_z
Cs1 Cs 0.000 0.250 0.250
Fe1 Fe 0.000 0.000 0.000
Te1 Te 0.000 0.060 0.750
Au1 Au 0.000 0.420 0.750
S1 S 0.000 0.414 0.521
```

***

(5)
Below is crystalline NdYAsO at its relaxed geometry, with properties calculated at the PBE-GGA level.

Crystal system   orthorhombic
E above lowest polymorph   1.19 kcal/mol of atoms

CIF file:
```
data_NdYAsO
_symmetry_space_group_name_H-M 'P m c 21'
_symmetry_Int_Tables_number 26
_cell_length_a 4.200
_cell_length_b 8.019
_cell_length_c 5.731
_cell_angle_alpha 90.00
_cell_angle_beta 90.00
_cell_angle_gamma 90.00
loop_
_symmetry_equiv_pos_as_xyz
'x,y,z'
'-x,-y,z+1/2'
'-x,y,z'
'x,-y,z+1/2'
loop_
_atom_site_label
_atom_site_type_symbol
_atom_site_fract_x
_atom_site_fract_y
_atom_site_fract_z
Nd1 Nd 0.000 0.122 0.000
Y1 Y 0.500 0.290 0.457
As1 As 0.500 0.356 0.953
O1 O 0.000 0.175 0.415
```

***

(6)
Below is crystalline Na2Sm2Cd3 at its relaxed geometry, with properties calculated at the PBE-GGA level.

Crystal system   orthorhombic

CIF file:
```
data_Na2Sm2Cd3
_symmetry_space_group_name_H-M 'C m m m'
_symmetry_Int_Tables_number 65
_symmetry_space_group_name_Hall '-C 2 2'
_cell_length_a 4.065
_cell_length_b 25.762
_cell_length_c 3.599
_cell_angle_alpha 90.00
_cell_angle_beta 90.00
_cell_angle_gamma 90.00
loop_
_atom_site_label
_atom_site_type_symbol
_atom_site_fract_x
_atom_site_fract_y
_atom_site_fract_z
Na1 Na 0.000 0.206 0.000
Sm1 Sm 0.000 0.072 0.000
Cd1 Cd 0.000 0.358 0.500
Cd2 Cd 0.000 0.500 0.500
```

***
*/
== Outcome ==
(1)
Below is crystalline Sr2AgPt at its relaxed geometry, with properties calculated at the PBE-GGA level.

Crystal system   monoclinic
E above lowest polymorph   0.00 kcal/mol of atoms

CIF file:
```
data_Sr2AgPt
_symmetry_space_group_name_H-M 'P 1 21/m 1'
_symmetry_Int_Tables_number 11
_cell_length_a 6.203
_cell_length_b 4.630
_cell_length_c 8.577
_cell_angle_alpha 90.00
_cell_angle_beta 110.75
_cell_angle_gamma 90.00
loop_
_symmetry_equiv_pos_as_xyz
'x,y,z'
'-x,-y,-z'
'-x,y+1/2,-z'
'x,-y+1/2,z'
loop_
_atom_site_label
_atom_site_type_symbol
_atom_site_fract_x
_atom_site_fract_y
_atom_site_fract_z
Sr1 Sr 0.213 0.250 0.438
Sr2 Sr 0.232 0.250 0.922
Ag1 Ag 0.346 0.750 0.215
Pt1 Pt 0.358 0.750 0.713
```

***

(2)
Below is crystalline Tl2Ni3PdS6 at its relaxed geometry, with properties calculated at the PBE-GGA level.

Crystal system   trigonal

CIF file:
```
data_Tl2Ni3PdS6
_symmetry_space_group_name_H-M 'P -3 m 1'
_symmetry_Int_Tables_number 164
_symmetry_space_group_name_Hall '-P 3 2"'
_cell_length_a 6.9084
_cell_length_b 6.9084
_cell_length_c 5.9873
_cell_angle_alpha 90.00
_cell_angle_beta 90.00
_cell_angle_gamma 120.00
loop_
_atom_site_label
_atom_site_type_symbol
_atom_site_fract_x
_atom_site_fract_y
_atom_site_fract_z
Tl1 Tl 0.3333 0.6667 0.1255
Ni1 Ni 0.0000 0.5000 0.5000
Pd1 Pd 0.0000 0.0000 0.5000
S1 S 0.1786 0.3571 0.6827
```

***

(3)
Below is crystalline Sm5Ga2Bi at its relaxed geometry, with properties calculated at the PBE-GGA level.

Crystal system   tetragonal

CIF file:
```
data_Sm5Ga2Bi
_symmetry_space_group_name_H-M 'I 4/m c m'
_symmetry_Int_Tables_number 140
_symmetry_space_group_name_Hall '-I 4 2c'
_cell_length_a 8.380
_cell_length_b 8.380
_cell_length_c 13.092
_cell_angle_alpha 90.00
_cell_angle_beta 90.00
_cell_angle_gamma 90.00
loop_
_atom_site_label
_atom_site_type_symbol
_atom_site_fract_x
_atom_site_fract_y
_atom_site_fract_z
Sm1 Sm 0.000 0.000 0.000
Sm2 Sm 0.154 0.346 0.142
Ga1 Ga 0.147 0.353 0.500
Bi1 Bi 0.000 0.000 0.250
```

***

(4)
Below is crystalline CsFeTeAuS2 at its relaxed geometry, with properties calculated at the PBE-GGA level.

Crystal system   orthorhombic

CIF file:
```
data_CsFeTeAuS2
_symmetry_space_group_name_H-M 'C m c m'
_symmetry_Int_Tables_number 63
_symmetry_space_group_name_Hall '-C 2c 2'
_cell_length_a 3.566
_cell_length_b 17.572
_cell_length_c 10.246
_cell_angle_alpha 90.00
_cell_angle_beta 90.00
_cell_angle_gamma 90.00
loop_
_atom_site_label
_atom_site_type_symbol
_atom_site_fract_x
_atom_site_fract_y
_atom_site_fract_z
Cs1 Cs 0.000 0.250 0.250
Fe1 Fe 0.000 0.000 0.000
Te1 Te 0.000 0.060 0.750
Au1 Au 0.000 0.420 0.750
S1 S 0.000 0.414 0.521
```

***

(5)
Below is crystalline NdYAsO at its relaxed geometry, with properties calculated at the PBE-GGA level.

Crystal system   orthorhombic
E above lowest polymorph   1.19 kcal/mol of atoms

CIF file:
```
data_NdYAsO
_symmetry_space_group_name_H-M 'P m c 21'
_symmetry_Int_Tables_number 26